Finding your Bliss

In his sculpture, Bliss Dance, Marco Cochrane depicts a woman who is “genuinely happy in her own space,” so she dances.

When I stumbled upon this 40-foot tall sculpture on a freezing cold, yet crystal clear evening exploring San Francisco’s Treasure Island back in 2013, I was literally awestruck. Not only was she beautiful, with the ever- changing lights casting different hues upon her from below, but the backdrop of the Bay Bridge and San Francisco skyline made her seem utterly human.

It occurred to me that this type of freedom, presence, disinhibition and yes, bliss, was possible. I felt it standing there.

But what is bliss, and how do you find it? I believe these answers are vastly different for each person; however, to be genuinely happy in your “space” as Cochrane calls it you may have to do some cleaning up of that said space.

To begin, ask yourself, “What might I need to leave behind and what might I want to call forward into my life to find bliss?” Listen deeply to what comes to you.

For many of us, the clutter of unmet childhood needs, lingering adolescent hurts, relationship disappointments, work failures, or other social and emotional life wounds make their way into our current lives, impacting our thoughts, feelings, behaviors…with or without our awareness. When we slow down, become still and allow ourselves to notice, it may become clear that our space is too crowded.

Clearing the path to bliss begins with introspection, being curious about the interior landscape of your body and mind in order to promote integration. Approaching what you find in your space with openness and objectivity is the next step toward that integration, a way of organizing the clutter, and maybe even moving some out for good. Yet the goal is not to eliminate those life objects occupying your space, but to dance despite their presence, with full awareness of the role they might play in your happiness.

**Between two parts of the page: records of crystals:**
[1]
Material: Ti2Al2SiS5O24
Method: DFT, PBE-GGA
State: relaxed

Cell lengths 8.4672, 8.4716, 21.9471 Å; angles 90.01, 89.99, 120.01 degrees
With the nearest neighbours (Å) after each atom.
Atoms (fractional coordinates):
S 0.0001 0.7093 0.7519  4 O 1.47-1.49
O 0.6988 0.5283 0.2428  1 S 1.47
O 0.8058 0.8325 0.9055  1 S 1.48
O 0.8249 0.0253 0.0914  1 S 1.48
Si 0.3948 0.3340 0.0832  4 O 1.58-1.67
O 0.8285 0.0331 0.8055  1 S 1.48
O 0.1843 0.1614 0.0941  1 Si 1.66, 1 Ti 1.74
O 0.8302 0.2976 0.5250  1 Si 1.64, 1 Ti 1.78
O 0.1573 0.7026 0.4704  1 S 1.47
O 0.1266 0.4941 0.8616  1 S 1.48
O 0.2040 0.0337 0.3050  1 S 1.48
Ti 0.3337 0.6584 0.0237  1 O 1.75
O 0.3095 0.4724 0.7613  1 S 1.48
O 0.8297 0.7993 0.5935  1 S 1.48
O 0.5069 0.3690 0.1443  1 Si 1.58, 1 Al 1.75
S 0.9476 0.6142 0.0831  4 O 1.47-1.48
Ti 0.0079 0.0093 0.1414  1 O 1.74
O 0.4939 0.8603 0.3581  1 Si 1.66, 1 Ti 1.74
O 0.5047 0.6335 0.8613  1 S 1.48
O 0.1756 0.2099 0.6967  1 S 1.49
O 0.4723 0.3088 0.7407  1 S 1.47
S 0.2928 0.2920 0.7516  4 O 1.47-1.49
O 0.9674 0.7968 0.0917  1 S 1.48
S 0.7166 0.7089 0.2502  4 O 1.47-1.50
O 0.2981 0.8422 0.9698  1 S 1.48
O 0.1531 0.5087 0.5721  1 Si 1.61
O 0.4936 0.1314 0.6399  1 S 1.47
O 0.4725 0.1624 0.2425  1 S 1.46
O 0.7895 0.9639 0.6973  1 S 1.49
Al 0.9973 0.0003 0.3550  3 O 1.74-1.91
S 0.6668 0.6160 0.5851  4 O 1.46-1.48
O 0.5277 0.8280 0.4748  1 Si 1.62
Ti 0.3434 0.6782 0.3124  1 O 1.74
O 0.7037 0.1644 0.0281  1 S 1.47
Al 0.3322 0.6681 0.8128  6 O 1.90-1.95
O 0.1572 0.4677 0.2577  1 S 1.47
Al 0.6573 0.3289 0.9780  3 O 1.75-1.96
O 0.1704 0.9765 0.9052  1 S 1.48
O 0.1975 0.0247 0.5932  1 S 1.48
O 0.8315 0.3047 0.2395  1 S 1.47
O 0.6870 0.1597 0.7429  1 S 1.47
O 0.8630 0.5130 0.4230  1 S 1.47
S 0.0403 0.3746 0.9151  4 O 1.47-1.50
Si 0.6341 0.9556 0.4169  4 O 1.56-1.66
Si 0.9534 0.3399 0.5869  4 O 1.57-1.65
O 0.4556 0.1611 0.5299  1 S 1.48
S 0.0464 0.6734 0.4154  4 O 1.46-1.49
O 0.7928 0.8239 0.1956  1 S 1.47
O 0.6365 0.1313 0.1386  1 S 1.47
O 0.0285 0.2043 0.1950  1 S 1.50
Al 0.0013 0.9987 0.8534  6 O 1.90-1.94
O 0.3018 0.8368 0.2572  1 S 1.49
Ti 0.9984 0.0063 0.6433  3 O 1.75-1.95
O 0.8730 0.5027 0.1384  1 S 1.47
O 0.0329 0.8364 0.4052  1 S 1.46
O 0.8383 0.5348 0.0279  1 S 1.47
O 0.5311 0.6866 0.2581  1 S 1.50
O 0.3616 0.4913 0.3612  1 S 1.49
O 0.6464 0.5071 0.9240  1 S 1.47
O 0.0355 0.8243 0.6971  1 S 1.48
Al 0.6626 0.3374 0.1877  4 O 1.75-1.95
O 0.4951 0.3631 0.4245  1 S 1.46
O 0.5056 0.6387 0.5783  1 S 1.48
O 0.1729 0.9693 0.1961  1 S 1.49
S 0.6257 0.6676 0.9145  4 O 1.47-1.50
O 0.5032 0.8695 0.0749  1 S 1.48
S 0.3824 0.0491 0.5854  4 O 1.47-1.48
O 0.1335 0.6410 0.0748  1 S 1.48
O 0.8303 0.7946 0.3044  1 S 1.47
O 0.4719 0.2979 0.0223  1 Si 1.58, 1 Al 1.75
O 0.6318 0.5034 0.6400  1 S 1.47
S 0.6660 0.0523 0.0831  4 O 1.47-1.48
O 0.1630 0.6902 0.7616  1 S 1.48
O 0.1577 0.4571 0.9702  1 S 1.50
S 0.7076 0.9993 0.7523  4 O 1.47-1.49
O 0.5434 0.7027 0.9696  1 S 1.50
O 0.8589 0.3672 0.6445  1 Si 1.57, 1 Al 1.75
Al 0.6741 0.3378 0.6888  3 O 1.75-1.94

I encourage you to look for bliss in moments of time, not hours, days, or years. If you feel the bliss dance moment, take it…but be open to finding it on a cold, clear night, in the middle of a field on an island floating atop San Francisco Bay.



Believe in change…

“You can’t teach an old dog new tricks!” This outdated aphorism is actually quite false.

Luckily, neuroscientists have shown that the brain actually has the ability to grow, or change, throughout the life span. This means you absolutely can teach that “old dog” new ways of being in the world. My job is to help you figure out what it is you want to change and how you might go about it.

In therapy, we will follow these steps to affect change:

These data records were left in the text by mistake
~~~
1.
A geometry-optimized KCaCl3 structure. Source: the Materials Project database, functional PBE.

Geometry as extended XYZ:
```
10
Lattice="-6.4345 1.4447 4.7174 -5.6632 -5.3692 2.2007 -1.2466 -2.8996 7.4687" Properties=species:S:1:pos:R:3 pbc="T T T"
Cl -9.1476 -5.1357 6.8227
Cl -4.9407 -5.0287 5.2896
Cl -7.2189 -1.6473 4.7804
Cl -8.4037 -1.7955 9.0971
Cl -4.1968 -1.6884 7.5640
Cl -6.1255 -5.1768 9.6064
Ca -8.7920 -4.4961 9.4787
Ca -4.5524 -2.3280 4.9080
K -1.8952 -0.9692 2.0433
K -11.4491 -5.8549 12.3434
```

Corrected total energy (MP2020 scheme) in eV per atom: -4.339
ΔE_f in kcal/mol of atoms: -60.115
Calculated total energy in eV/cell: -39.71
Space group: No. 148

2.
A geometry-optimized CaMg6Ti structure. Source: the Materials Project database, functional PBE.

Geometry as extended XYZ:
```
16
Lattice="-4.7024 0.0416 -2.2289 -2.5457 -2.7905 5.3185 -1.9974 10.2174 4.4048" Properties=species:S:1:pos:R:3 pbc="T T T"
Mg -2.0487 -1.1811 4.3000
Mg -0.6683 3.4187 1.4739
Mg -1.7745 5.3229 3.8431
Mg -2.6803 1.7041 -0.3888
Mg -2.9399 7.1321 6.3355
Mg -3.1114 3.8574 6.6361
Mg -0.8398 0.1440 1.7744
Mg -4.9518 5.4175 4.4728
Mg -4.8356 8.6960 4.2888
Mg -5.1097 2.1920 4.7456
Mg -6.0827 7.3289 6.8943
Mg -3.8111 3.6155 2.0327
Ca -1.6635 8.5094 3.6685
Ca -1.9377 2.0054 4.1253
Ti -3.6671 6.7517 1.7873
Ti -3.9412 0.2477 2.2441
```

Offset from the most stable computed form in meV/atom: 0
ΔE_f in kcal/mol of atoms: 3.205
Calculated total energy in eV/cell: -36.78

3.
A geometry-optimized Zn3P2H8O12 structure. Source: the Materials Project database, functional PBE.

Geometry as extended XYZ:
```
100
Lattice="-4.5153 1.0933 2.0891 -4.5689 -7.8525 -5.7656 3.5118 -12.3698 14.0641" Properties=species:S:1:pos:R:3 pbc="T T T"
O -1.9997 -16.8111 7.1471
O -4.6321 -13.5610 4.1871
O -0.9403 -5.5679 6.2005
O -1.6152 -9.8839 2.5730
O 1.2110 -7.2057 8.2926
O -3.0535 -7.6049 0.5289
O -2.2650 -8.6615 10.1391
O -1.6737 -10.7444 12.5073
O -1.8854 -6.3324 3.5303
O -2.8142 -5.6608 -2.2286
O -0.0308 -12.8085 10.1759
O -2.5189 -11.5241 9.8587
O -4.9790 -8.3021 2.4647
O -4.8314 -3.9612 -0.2553
O -0.5933 -10.8269 7.9229
O 0.3361 -13.8719 12.5155
O -4.8350 -15.4427 6.9905
O -0.9130 -18.0488 9.1537
O -1.9468 -10.9205 5.8138
O -6.7834 -11.9232 2.0950
O -3.1811 -6.2873 7.1543
O -2.4767 -4.2495 1.1622
O -3.0101 -4.2994 5.4935
O -1.1422 -8.6648 6.5951
O -3.3074 -10.4674 0.2485
O -0.7374 -3.6863 3.3971
O -7.9892 -7.6759 -2.7340
O -4.4302 -10.4642 3.7925
O -3.6256 -8.2085 4.5738
O -3.8987 -8.3846 -2.1197
O -5.9085 -5.2571 -2.1279
O -2.7582 -13.4682 12.6162
O -3.5727 -2.3179 3.2405
O -6.3339 -9.3505 -0.1873
O -3.4331 -17.7842 8.9887
O 2.4168 -11.4530 13.1216
O -2.3913 -12.8417 3.2333
O -3.6870 -12.7966 6.8573
O -4.6594 -1.0801 1.2339
O -5.5416 -6.3205 0.2117
O -4.5630 -5.2999 2.9331
O -2.5623 -14.8295 4.8941
O -1.0094 -13.8290 7.4545
O -3.0957 -14.8795 9.2254
O -2.1393 -1.3448 1.3989
O -3.9572 -9.2451 7.8146
O 0.7615 -9.7784 10.5749
O -0.7410 -15.1678 10.6429
H -4.6953 -6.2330 3.1813
~~~

1.  Clarify what you want: many times we get stuck in old patterns of thinking or behaving because we know we want to stop these things, but we don’t envision what another way of being might look like. It’s important to have a clear vision for what you are working toward in order to chart your course. I will help you break down broad goals such as, “I just want to feel better,” or “I want to be happy in my relationships,” into clear objectives that we can work toward such as “I want to be able to let go of troubling thoughts more easily” or “I want to learn steps for resolving conflicts and moving on after they occur” or “I want my partner and I to talk about tough issues calmly and compassionately.” In therapy, I refer to this as clarifying what you want to call forward into your life.

2.  Identify the source of the struggle:  through listening deeply to the story of your lived experience, I will help you identify where some of the behaviors you want to change come from and how they became so seemingly entrenched; in short, why you do what you do. This matters because, in order to affect lasting change, it helps to begin at the source just as you pull a weed out at its root so it doesn’t grow back. In therapy, this may involve starting with healing past wounds, understanding how behaviors may have served you at one time in your life or revealing the brain reasons for your behavior. I call it identifying what you want to leave behind.

3.  Chart your course for change: now that you have an idea of what you want to leave behind and what you want to call forward, how do you get there?  Having listened deeply to you during steps 1 and 2, I will offer a set of strategies tailored to your unique life experience for you to choose from to make the changes you desire.  Your job is to have the courage and commitment to try the strategies out. It isn’t always easy!

The steps for change have no set time frame. Everyone goes through them at a different pace depending upon their reflective capacity, the intensity of the issue, and their willingness to implement the strategies for change. To help, I will provide you with guidance on how to take the steps with self-compassion and mindfulness, pausing throughout to celebrate your efforts.

There is no shortcut to lasting change, but the path may be made more smooth and efficient when you work with someone like myself who possesses knowledge of the connection between brain, mind, and relationships and how to use that knowledge to create choice and change.